Excerpt:
........
! GGA-PBE Zn6GaCu4, relaxed; values from VASP
! Formation enthalpy at 0 K ... 98 meV per atom
&SYSTEM
  ibrav = 0, nat = 11, ntyp = 3
/
ATOMIC_SPECIES
Zn 65.41 Zn.upf
Ga 69.72 Ga.upf
Cu 63.55 Cu.upf
CELL_PARAMETERS angstrom
-3.231 3.231 4.334
3.231 -3.231 4.334
3.231 3.231 -4.334
ATOMIC_POSITIONS angstrom
Zn 3.231 0.000 0.000
Zn 2.237 2.237 -2.347
Zn 0.994 0.994 1.987
Zn 0.000 3.231 0.000
Zn 0.994 -0.994 6.681
Zn -0.994 0.994 6.681
Ga 0.000 0.000 4.334
Cu 1.133 1.133 -0.505
Cu 2.098 -2.098 4.839
Cu 2.098 2.098 3.829
Cu -2.098 2.098 4.839

~~~~~

# 1
Entry from Alexandria: a relaxed structure of ZnBiBMo2 (PBE).

Output
**Formation energy**: 1192 kJ/mol of formula units
**DOS at the Fermi energy**: 4.3 states/eV/f.u.
**Energy**: -21.14 eV for the cell shown

Lattice parameters (Å, degrees): 5.297 4.510 5.297 90.00 90.00 90.00
Each line ends with the local moment (μB).
Atoms (fractional coordinates):
Zn1 0.500 0.500 0.500  -0.04
Mo1 0.000 0.000 0.500  2.43
Mo2 0.500 0.000 0.000  2.25
B1 0.000 0.500 0.000  -0.08
Bi1 0.000 0.000 0.000  -0.04


# 2
Entry from Alexandria: a relaxed structure of MnPdRh3 (PBE).

Output
**Formation energy**: 459 kJ/mol of formula units
**DOS at the Fermi energy**: 7.5 states/eV/f.u.
**Energy**: -31.65 eV for the cell shown

Lattice parameters (Å, degrees): 4.400 4.400 4.400 90.00 90.00 90.00
Atoms (fractional coordinates):
Mn1 0.000 0.000 0.000
Rh1 0.000 0.500 0.000
Rh2 0.000 0.000 0.500
Rh3 0.500 0.000 0.000
Pd1 0.500 0.500 0.500

~~~~~

VASP calculation (GGA-PBEsol) on a geometry-optimized La3GdCl4O4 structure.

CIF file:
```
data_La3GdCl4O4
_symmetry_space_group_name_H-M 'P 1'
_symmetry_Int_Tables_number 1
_symmetry_space_group_name_Hall 'P 1'
_cell_length_a 4.029
_cell_length_b 6.798
_cell_length_c 8.055
_cell_angle_alpha 90.00
_cell_angle_beta 90.00
_cell_angle_gamma 90.00
loop_
_atom_site_label
_atom_site_type_symbol
_atom_site_fract_x
_atom_site_fract_y
_atom_site_fract_z
Gd1 Gd 0.000 0.166 0.000
La1 La 0.500 0.823 0.752
La2 La 0.500 0.823 0.248
La3 La 0.000 0.181 0.500
Cl1 Cl 0.000 0.632 0.500
Cl2 Cl 0.500 0.368 0.755
Cl3 Cl 0.500 0.368 0.245
Cl4 Cl 0.000 0.624 0.000
O1 O 0.500 0.001 0.500
O2 O 0.000 0.003 0.756
O3 O 0.000 0.003 0.244
O4 O 0.500 0.006 0.000
```

Uncorrected formation energy = -3172 meV per atom
ρ = 5.87 g/cm³
Total energy = -97.58 eV per cell
........

Wanted:
Could you reproduce the whole of the contents further above verbatim?

Done:
! GGA-PBE Zn6GaCu4, relaxed; values from VASP
! Formation enthalpy at 0 K ... 98 meV per atom
&SYSTEM
  ibrav = 0, nat = 11, ntyp = 3
/
ATOMIC_SPECIES
Zn 65.41 Zn.upf
Ga 69.72 Ga.upf
Cu 63.55 Cu.upf
CELL_PARAMETERS angstrom
-3.231 3.231 4.334
3.231 -3.231 4.334
3.231 3.231 -4.334
ATOMIC_POSITIONS angstrom
Zn 3.231 0.000 0.000
Zn 2.237 2.237 -2.347
Zn 0.994 0.994 1.987
Zn 0.000 3.231 0.000
Zn 0.994 -0.994 6.681
Zn -0.994 0.994 6.681
Ga 0.000 0.000 4.334
Cu 1.133 1.133 -0.505
Cu 2.098 -2.098 4.839
Cu 2.098 2.098 3.829
Cu -2.098 2.098 4.839

~~~~~

# 1
Entry from Alexandria: a relaxed structure of ZnBiBMo2 (PBE).

Output
**Formation energy**: 1192 kJ/mol of formula units
**DOS at the Fermi energy**: 4.3 states/eV/f.u.
**Energy**: -21.14 eV for the cell shown

Lattice parameters (Å, degrees): 5.297 4.510 5.297 90.00 90.00 90.00
Each line ends with the local moment (μB).
Atoms (fractional coordinates):
Zn1 0.500 0.500 0.500  -0.04
Mo1 0.000 0.000 0.500  2.43
Mo2 0.500 0.000 0.000  2.25
B1 0.000 0.500 0.000  -0.08
Bi1 0.000 0.000 0.000  -0.04


# 2
Entry from Alexandria: a relaxed structure of MnPdRh3 (PBE).

Output
**Formation energy**: 459 kJ/mol of formula units
**DOS at the Fermi energy**: 7.5 states/eV/f.u.
**Energy**: -31.65 eV for the cell shown

Lattice parameters (Å, degrees): 4.400 4.400 4.400 90.00 90.00 90.00
Atoms (fractional coordinates):
Mn1 0.000 0.000 0.000
Rh1 0.000 0.500 0.000
Rh2 0.000 0.000 0.500
Rh3 0.500 0.000 0.000
Pd1 0.500 0.500 0.500

~~~~~

VASP calculation (GGA-PBEsol) on a geometry-optimized La3GdCl4O4 structure.

CIF file:
```
data_La3GdCl4O4
_symmetry_space_group_name_H-M 'P 1'
_symmetry_Int_Tables_number 1
_symmetry_space_group_name_Hall 'P 1'
_cell_length_a 4.029
_cell_length_b 6.798
_cell_length_c 8.055
_cell_angle_alpha 90.00
_cell_angle_beta 90.00
_cell_angle_gamma 90.00
loop_
_atom_site_label
_atom_site_type_symbol
_atom_site_fract_x
_atom_site_fract_y
_atom_site_fract_z
Gd1 Gd 0.000 0.166 0.000
La1 La 0.500 0.823 0.752
La2 La 0.500 0.823 0.248
La3 La 0.000 0.181 0.500
Cl1 Cl 0.000 0.632 0.500
Cl2 Cl 0.500 0.368 0.755
Cl3 Cl 0.500 0.368 0.245
Cl4 Cl 0.000 0.624 0.000
O1 O 0.500 0.001 0.500
O2 O 0.000 0.003 0.756
O3 O 0.000 0.003 0.244
O4 O 0.500 0.006 0.000
```

Uncorrected formation energy = -3172 meV per atom
ρ = 5.87 g/cm³
Total energy = -97.58 eV per cell